Job.
Search the lines further below for the word "F1" and return each line that has it.

Excerpt.
........
The following is a calculated powder diffraction line list of MgCo4O4F4. It was derived from a crystal structure in the Materials Project, relaxed with PBE+U, using λ = 1.5418 Å (Cu Kα).
Lines closer than 0.1° are merged.

Top 10 peaks for 10° ≤ 2θ ≤ 90°, by angle:
2θ/deg, I (rel.), (hkl)
24.35, 100, 1 1 0
25.03, 91, 1 -1 0
35.24, 26, 0 1 2
35.54, 27, 1 0 2
35.66, 24, 1 0 -2
35.77, 24, 0 1 -2
39.89, 25, 1 1 -2
49.93, 22, 2 2 0
51.27, 22, -2 1 2
51.44, 35, 2 -1 2

Atomic structure:
```
data_MgCo4O4F4
_symmetry_space_group_name_H-M 'P 1'
_symmetry_Int_Tables_number 1
_symmetry_space_group_name_Hall 'P 1'
_cell_length_a 5.074
_cell_length_b 5.128
_cell_length_c 5.814
_cell_angle_alpha 89.04
_cell_angle_beta 89.75
_cell_angle_gamma 88.43
loop_
_atom_site_label
_atom_site_type_symbol
_atom_site_fract_x
_atom_site_fract_y
_atom_site_fract_z
Mg1 Mg 0.000 0.000 0.000
Co1 Co 0.100 0.555 0.731
Co2 Co 0.482 0.089 0.983
Co3 Co 0.541 0.957 0.485
Co4 Co 0.968 0.463 0.266
O1 O 0.194 0.338 0.010
O2 O 0.307 0.885 0.770
O3 O 0.717 0.159 0.220
O4 O 0.825 0.660 0.487
F1 F 0.251 0.322 0.484
F2 F 0.263 0.854 0.233
F3 F 0.762 0.147 0.750
F4 F 0.808 0.678 0.990
```

The following is a calculated powder diffraction line list of MgCo6O10F2. It was derived from a crystal structure in the Materials Project, relaxed with PBE+U, using λ = 1.5418 Å (Cu Kα).
Lines closer than 0.1° are merged.

Top 10 peaks for 10° ≤ 2θ ≤ 90°, by angle:
2θ/deg, I (rel.), (hkl)
18.62, 15, 1 0 -1
20.73, 31, 1 0 -2
24.34, 46, 1 0 -3
28.23, 81, 1 0 3
28.91, 49, 1 0 -4
36.65, 100, 0 1 3
55.51, 17, 2 1 3
55.72, 21, 1 1 6
56.43, 36, 2 1 -5
65.30, 19, 0 2 0

Atomic structure:
```
data_MgCo6O10F2
_symmetry_space_group_name_H-M 'P 1 m 1'
_symmetry_Int_Tables_number 6
_symmetry_space_group_name_Hall 'P -2y'
_cell_length_a 4.857
_cell_length_b 2.858
_cell_length_c 14.436
_cell_angle_alpha 90.00
_cell_angle_beta 98.32
_cell_angle_gamma 90.00
loop_
_atom_site_label
_atom_site_type_symbol
_atom_site_fract_x
_atom_site_fract_y
_atom_site_fract_z
Mg1 Mg 0.000 0.000 0.000
Co1 Co 0.061 0.500 0.509
Co2 Co 0.124 0.500 0.802
Co3 Co 0.491 0.000 0.366
Co4 Co 0.502 0.000 0.999
Co5 Co 0.622 0.000 0.646
Co6 Co 0.839 0.500 0.199
O1 O 0.223 0.000 0.890
O2 O 0.257 0.000 0.573
O3 O 0.296 0.500 0.044
O4 O 0.335 0.500 0.424
O5 O 0.602 0.500 0.296
O6 O 0.702 0.500 0.952
O7 O 0.765 0.000 0.107
O8 O 0.768 0.500 0.586
O9 O 0.865 0.000 0.447
O10 O 0.938 0.000 0.737
F1 F 0.100 0.000 0.262
F2 F 0.463 0.500 0.725
```

The following is a calculated powder diffraction line list of MgCo6O10F2. It was derived from a crystal structure in the Materials Project, relaxed with PBE+U, using λ = 1.5418 Å (Cu Kα).
Lines closer than 0.1° are merged.

Top 10 peaks for 10° ≤ 2θ ≤ 90°, by angle:
2θ/deg, I (rel.), (hkl)
26.11, 54, 1 0 -3
27.39, 100, 1 0 3
31.24, 52, 1 0 -4
36.13, 37, 1 1 0
36.85, 63, 0 1 3
53.76, 22, 2 1 3
55.26, 28, 2 1 -4
55.36, 24, 1 1 6
59.52, 25, 1 1 -7
64.54, 23, 0 2 0

Atomic structure:
```
data_MgCo6O10F2
_symmetry_space_group_name_H-M 'P 1 m 1'
_symmetry_Int_Tables_number 6
_symmetry_space_group_name_Hall 'P -2y'
_cell_length_a 4.893
_cell_length_b 2.888
_cell_length_c 13.675
_cell_angle_alpha 90.00
_cell_angle_beta 92.68
_cell_angle_gamma 90.00
loop_
_atom_site_label
_atom_site_type_symbol
_atom_site_fract_x
_atom_site_fract_y
_atom_site_fract_z
Mg1 Mg 0.000 0.000 0.000
Co1 Co 0.309 0.000 0.331
Co2 Co 0.430 0.000 0.658
Co3 Co 0.504 0.000 0.945
Co4 Co 0.791 0.500 0.189
Co5 Co 0.816 0.500 0.481
Co6 Co 0.976 0.500 0.803
O1 O 0.148 0.500 0.395
O2 O 0.171 0.000 0.867
O3 O 0.245 0.500 0.713
O4 O 0.464 0.500 0.263
O5 O 0.567 0.500 0.585
O6 O 0.625 0.000 0.415
O7 O 0.712 0.000 0.098
O8 O 0.767 0.500 0.923
O9 O 0.772 0.000 0.751
O10 O 0.992 0.000 0.244
F1 F 0.030 0.000 0.550
F2 F 0.250 0.500 0.039
```

The following is a calculated powder diffraction line list of MgCo6O7F5. It was derived from a crystal structure in the Materials Project, relaxed with PBE+U, using λ = 1.5418 Å (Cu Kα).
........

Response.
F1 F 0.251 0.322 0.484
F1 F 0.100 0.000 0.262
F1 F 0.030 0.000 0.550